-- Work order --
What is needed: duplicate the whole of the entries below with every line break kept.

-- Source --
┌──
VASP calculation (PBE) on a geometry-optimized PPbSe structure.

Lattice parameters (Å, degrees): 6.9154 6.9154 6.9154 90.00 90.00 90.00
With the nearest neighbours (Å) after each atom.
Space group F-43m (No. 216)
Inequivalent atoms, fractional coordinates:
P 0.0000 0.0000 0.0000  4 Pb 2.99
Pb 0.2500 0.2500 0.7500  4 Se 2.99, 4 P 2.99
Se 0.0000 0.0000 0.5000  4 Pb 2.99

## Properties
**Raw total energy**: -3.65 eV/atom
**Magnetic moment**: 0.00 μB per atom
**Energy relative to the elements, uncorrected**: 547 meV/atom


VASP calculation (PBE) on a geometry-optimized Pm2NdY3Tm6 structure.

Lattice parameters (Å, degrees): 6.1652 10.6693 11.7258 90.00 100.07 90.00
With the nearest neighbours (Å) after each atom.
Space group C2/m (No. 12)
Inequivalent atoms, fractional coordinates:
Pm 0.0000 0.1667 0.0000  3 Nd 3.56, 6 Tm 3.56, 3 Pm 3.56
Nd 0.0000 0.5000 0.0000  6 Pm 3.56, 6 Tm 3.56
Y 0.0000 0.0000 0.5000  6 Tm 3.52-3.53, 6 Y 3.56
Y 0.0000 0.3333 0.5000  6 Tm 3.52-3.53, 6 Y 3.56
Tm 0.2485 0.1667 0.7482  3 Y 3.52-3.53, 6 Tm 3.56, 2 Pm 3.56, 1 Nd 3.56
Tm 0.2488 0.5000 0.7483  3 Y 3.53, 6 Tm 3.56, 1 Nd 3.56, 2 Pm 3.56

## Properties
**Raw total energy**: -5.02 eV/atom
**Magnetic moment**: 0.00 μB per atom
**ΔE_f**: 24.8 meV/atom


VASP calculation (PBE) on a geometry-optimized SmAuI6 structure.

Lattice parameters (Å, degrees): 6.3352 7.9504 8.7094 69.08 73.62 85.44
With the nearest neighbours (Å) after each atom.
Space group P-1 (No. 2)
Inequivalent atoms, fractional coordinates:
Sm 0.0000 0.0000 0.0000  6 I 2.98-3.17
Au 0.5000 0.5000 0.0000  4 I 2.68-2.74
I 0.0285 0.8116 0.3573  1 Sm 2.98
I 0.2748 0.3683 0.8387  1 Au 2.74
I 0.4132 0.8310 0.8075  1 Au 2.68

## Properties
**Raw total energy**: -2.81 eV/atom
**Magnetic moment**: 0.00 μB per atom
**Energy relative to the elements, uncorrected**: -648 meV/atom


VASP calculation (PBE) on a geometry-optimized Pm11Ag4Hg9 structure.

Lattice parameters (Å, degrees): 14.9457 22.4313 3.8122 90.00 90.00 90.00
With the nearest neighbours (Å) after each atom.
Space group Cmmm (No. 65)
Inequivalent atoms, fractional coordinates:
Pm 0.0000 0.0000 0.0000  8 Hg 3.26
Pm 0.0000 0.1694 0.0000  8 Hg 3.28-3.48, 2 Pm 3.55
Pm 0.0000 0.3629 0.0000  4 Ag 3.08, 4 Hg 3.34
Pm 0.2229 0.5000 0.0000  4 Ag 3.08, 4 Hg 3.32
Pm 0.2375 0.1734 0.0000  2 Ag 3.08, 6 Hg 3.27-3.39
Ag 0.1495 0.4038 0.5000  6 Pm 3.08, 3 Hg 3.11-3.25
Hg 0.0000 0.5000 0.5000  4 Ag 3.11
Hg 0.1082 0.2643 0.5000  1 Ag 3.19, 1 Hg 3.23, 8 Pm 3.28-3.39
Hg 0.1353 0.0763 0.5000  1 Ag 3.25, 8 Pm 3.26-3.48, 1 Hg 3.42

## Properties
**Raw total energy**: -3.16 eV/atom
**Magnetic moment**: 0.05 μB per atom
**ΔE_f**: -392.3 meV/atom


VASP calculation (PBE) on a geometry-optimized UTlFeS4 structure.

Lattice parameters (Å, degrees): 6.4808 5.7570 8.9985 90.00 107.01 90.00
With the nearest neighbours (Å) after each atom.
Space group P2_1/m (No. 11)
Inequivalent atoms, fractional coordinates:
U 0.2406 0.2500 0.4471  6 S 2.64-2.78
Tl 0.2330 0.2500 0.9480  6 S 3.17-3.48
Fe 0.2627 0.7500 0.6611  4 S 2.19-2.23
S 0.0602 0.7500 0.8237  1 Fe 2.23
S 0.0674 0.7500 0.4115  1 Fe 2.23
S 0.4843 0.5136 0.3032  1 Fe 2.19

## Properties
**Raw total energy**: -6.31 eV/atom
**Magnetic moment**: 0.26 μB per atom
**Energy relative to the elements, uncorrected**: -796 meV/atom


VASP calculation (PBE) on a geometry-optimized Ac2CuHgN structure.

Lattice parameters (Å, degrees): 7.5182 4.0839 8.7216 90.00 109.37 90.00
With the nearest neighbours (Å) after each atom.
Space group P2_1/m (No. 11)
Inequivalent atoms, fractional coordinates:
Ac 0.1987 0.2500 0.3885  2 N 2.71
Ac 0.2031 0.2500 0.9628  1 N 2.50
Cu 0.4303 0.7500 0.2449  1 N 2.02
Hg 0.3290 0.7500 0.7105  2 Cu 2.67
N 0.1463 0.7500 0.1737  1 Cu 2.02

## Properties
**Raw total energy**: -4.73 eV/atom
**Magnetic moment**: 0.00 μB per atom
**Energy relative to the elements, uncorrected**: -537 meV/atom
└──

-- Result --
VASP calculation (PBE) on a geometry-optimized PPbSe structure.

Lattice parameters (Å, degrees): 6.9154 6.9154 6.9154 90.00 90.00 90.00
With the nearest neighbours (Å) after each atom.
Space group F-43m (No. 216)
Inequivalent atoms, fractional coordinates:
P 0.0000 0.0000 0.0000  4 Pb 2.99
Pb 0.2500 0.2500 0.7500  4 Se 2.99, 4 P 2.99
Se 0.0000 0.0000 0.5000  4 Pb 2.99

## Properties
**Raw total energy**: -3.65 eV/atom
**Magnetic moment**: 0.00 μB per atom
**Energy relative to the elements, uncorrected**: 547 meV/atom


VASP calculation (PBE) on a geometry-optimized Pm2NdY3Tm6 structure.

Lattice parameters (Å, degrees): 6.1652 10.6693 11.7258 90.00 100.07 90.00
With the nearest neighbours (Å) after each atom.
Space group C2/m (No. 12)
Inequivalent atoms, fractional coordinates:
Pm 0.0000 0.1667 0.0000  3 Nd 3.56, 6 Tm 3.56, 3 Pm 3.56
Nd 0.0000 0.5000 0.0000  6 Pm 3.56, 6 Tm 3.56
Y 0.0000 0.0000 0.5000  6 Tm 3.52-3.53, 6 Y 3.56
Y 0.0000 0.3333 0.5000  6 Tm 3.52-3.53, 6 Y 3.56
Tm 0.2485 0.1667 0.7482  3 Y 3.52-3.53, 6 Tm 3.56, 2 Pm 3.56, 1 Nd 3.56
Tm 0.2488 0.5000 0.7483  3 Y 3.53, 6 Tm 3.56, 1 Nd 3.56, 2 Pm 3.56

## Properties
**Raw total energy**: -5.02 eV/atom
**Magnetic moment**: 0.00 μB per atom
**ΔE_f**: 24.8 meV/atom


VASP calculation (PBE) on a geometry-optimized SmAuI6 structure.

Lattice parameters (Å, degrees): 6.3352 7.9504 8.7094 69.08 73.62 85.44
With the nearest neighbours (Å) after each atom.
Space group P-1 (No. 2)
Inequivalent atoms, fractional coordinates:
Sm 0.0000 0.0000 0.0000  6 I 2.98-3.17
Au 0.5000 0.5000 0.0000  4 I 2.68-2.74
I 0.0285 0.8116 0.3573  1 Sm 2.98
I 0.2748 0.3683 0.8387  1 Au 2.74
I 0.4132 0.8310 0.8075  1 Au 2.68

## Properties
**Raw total energy**: -2.81 eV/atom
**Magnetic moment**: 0.00 μB per atom
**Energy relative to the elements, uncorrected**: -648 meV/atom


VASP calculation (PBE) on a geometry-optimized Pm11Ag4Hg9 structure.

Lattice parameters (Å, degrees): 14.9457 22.4313 3.8122 90.00 90.00 90.00
With the nearest neighbours (Å) after each atom.
Space group Cmmm (No. 65)
Inequivalent atoms, fractional coordinates:
Pm 0.0000 0.0000 0.0000  8 Hg 3.26
Pm 0.0000 0.1694 0.0000  8 Hg 3.28-3.48, 2 Pm 3.55
Pm 0.0000 0.3629 0.0000  4 Ag 3.08, 4 Hg 3.34
Pm 0.2229 0.5000 0.0000  4 Ag 3.08, 4 Hg 3.32
Pm 0.2375 0.1734 0.0000  2 Ag 3.08, 6 Hg 3.27-3.39
Ag 0.1495 0.4038 0.5000  6 Pm 3.08, 3 Hg 3.11-3.25
Hg 0.0000 0.5000 0.5000  4 Ag 3.11
Hg 0.1082 0.2643 0.5000  1 Ag 3.19, 1 Hg 3.23, 8 Pm 3.28-3.39
Hg 0.1353 0.0763 0.5000  1 Ag 3.25, 8 Pm 3.26-3.48, 1 Hg 3.42

## Properties
**Raw total energy**: -3.16 eV/atom
**Magnetic moment**: 0.05 μB per atom
**ΔE_f**: -392.3 meV/atom


VASP calculation (PBE) on a geometry-optimized UTlFeS4 structure.

Lattice parameters (Å, degrees): 6.4808 5.7570 8.9985 90.00 107.01 90.00
With the nearest neighbours (Å) after each atom.
Space group P2_1/m (No. 11)
Inequivalent atoms, fractional coordinates:
U 0.2406 0.2500 0.4471  6 S 2.64-2.78
Tl 0.2330 0.2500 0.9480  6 S 3.17-3.48
Fe 0.2627 0.7500 0.6611  4 S 2.19-2.23
S 0.0602 0.7500 0.8237  1 Fe 2.23
S 0.0674 0.7500 0.4115  1 Fe 2.23
S 0.4843 0.5136 0.3032  1 Fe 2.19

## Properties
**Raw total energy**: -6.31 eV/atom
**Magnetic moment**: 0.26 μB per atom
**Energy relative to the elements, uncorrected**: -796 meV/atom


VASP calculation (PBE) on a geometry-optimized Ac2CuHgN structure.

Lattice parameters (Å, degrees): 7.5182 4.0839 8.7216 90.00 109.37 90.00
With the nearest neighbours (Å) after each atom.
Space group P2_1/m (No. 11)
Inequivalent atoms, fractional coordinates:
Ac 0.1987 0.2500 0.3885  2 N 2.71
Ac 0.2031 0.2500 0.9628  1 N 2.50
Cu 0.4303 0.7500 0.2449  1 N 2.02
Hg 0.3290 0.7500 0.7105  2 Cu 2.67
N 0.1463 0.7500 0.1737  1 Cu 2.02

## Properties
**Raw total energy**: -4.73 eV/atom
**Magnetic moment**: 0.00 μB per atom
**Energy relative to the elements, uncorrected**: -537 meV/atom